Give back the whole of the entries further below exactly, please.

<<<
# 1
One molecule with the formula C26H31ClN4O3, computed with the ωB97M-V functional and the def2-TZVPD basis.

```
65
Properties=species:S:1:pos:R:3:nbo_charge:R:1
C 0.92445 0.10081 -6.39264 -0.61
C 0.52071 1.50910 -5.97802 -0.42
C -0.07709 1.62906 -4.60204 -0.02
C -0.34014 2.91438 -4.10658 -0.17
C -0.86588 3.11173 -2.85267 -0.23
C -1.14291 2.01390 -2.03795 0.16
N -1.62564 2.16902 -0.76567 -0.55
C -1.79807 1.16296 0.14841 0.63
O -2.11215 1.41954 1.30336 -0.66
C -1.54706 -0.18348 -0.35690 -0.13
C -1.65336 -1.30785 0.64177 -0.26
N -0.42661 -2.08179 0.68584 -0.45
C -0.52673 -3.50144 0.91985 -0.21
C -0.96755 -3.81177 2.35411 -0.42
C -0.02407 -3.19778 3.39110 -0.22
N -0.22445 -1.76685 3.58852 -0.46
C 0.95127 -1.16829 4.20947 -0.26
C 0.73506 0.32644 4.45032 -0.06
O -0.41319 0.57575 5.22188 -0.52
C -1.54846 0.02148 4.59658 -0.09
C -1.38792 -1.48825 4.41927 -0.25
C 0.80151 -1.50093 0.65429 0.82
O 1.82574 -2.11052 0.43199 -0.64
N 0.77175 -0.12544 0.89647 -0.69
C 1.37916 0.85786 0.14469 0.27
C 1.25711 2.19260 0.53671 -0.29
C 1.76105 3.20071 -0.25982 -0.19
C 2.38414 2.91191 -1.46254 -0.28
C 2.51093 1.58478 -1.83646 0.00
Cl 3.25751 1.20139 -3.34402 0.00
C 2.02921 0.55607 -1.05132 -0.31
C -1.14085 -0.37663 -1.63235 -0.08
C -0.89822 0.71536 -2.51655 -0.06
C -0.37076 0.54633 -3.80329 -0.20
H 1.38228 0.12705 -7.37882 0.22
H 0.06025 -0.55792 -6.43898 0.20
H 1.64851 -0.30916 -5.69291 0.21
H 1.40249 2.15474 -6.01687 0.21
H -0.19888 1.90690 -6.70098 0.21
H -0.11269 3.76877 -4.72733 0.21
H -1.05207 4.10968 -2.48378 0.21
H -1.77061 3.11034 -0.41910 0.42
H -2.45390 -1.99308 0.34602 0.22
H -1.90792 -0.88550 1.62129 0.24
H -1.23354 -3.94253 0.20837 0.19
H 0.46472 -3.92106 0.73643 0.24
H -0.96904 -4.89530 2.48274 0.22
H -1.98561 -3.45549 2.51273 0.20
H 1.00235 -3.34257 3.04542 0.21
H -0.13613 -3.73813 4.34793 0.17
H 1.80598 -1.30449 3.54302 0.22
H 1.17416 -1.65202 5.17726 0.17
H 1.57772 0.74148 5.00666 0.20
H 0.65318 0.84937 3.48592 0.15
H -2.39429 0.23966 5.25065 0.19
H -1.71412 0.50196 3.62073 0.19
H -2.28322 -1.89283 3.94420 0.20
H -1.28185 -1.95391 5.41638 0.17
H 0.10033 0.18380 1.58592 0.42
H 0.75001 2.43120 1.46010 0.22
H 1.66060 4.22931 0.05277 0.22
H 2.76315 3.69676 -2.09641 0.23
H 2.14531 -0.47058 -1.35649 0.25
H -0.93520 -1.37736 -1.98704 0.21
H -0.18051 -0.45928 -4.14161 0.21
```

## Properties
LUMO energy	0.12	eV
E_HOMO	-8.123	eV
charge	0
relative energy (zero: lowest compared OMol25 entry of this formula, charge and spin)	0.000	eV
orbital gap	0.30285	hartree

# 2
A 13-piece molecular cluster, C40H108N2O13 overall, computed with the ωB97M-V functional and the def2-TZVPD basis.

```
163
Properties=species:S:1:pos:R:3:mulliken_charge:R:1
C 9.22390 12.74482 18.34654 -0.39
C 8.38320 11.58032 17.87410 -0.53
O 9.02088 10.88684 16.79083 -0.49
H 10.20726 12.39104 18.65628 0.01
H 8.78364 13.33006 19.15386 0.62
H 9.42098 13.38318 17.48530 -0.20
H 7.45714 11.90888 17.40232 0.18
H 8.11652 10.88036 18.66596 0.50
H 9.27105 10.01878 17.11561 0.24
C 9.20846 8.41518 12.03772 -1.26
C 9.24152 9.47624 10.92658 1.08
C 10.57692 10.16750 10.79450 -1.34
O 8.98932 8.94422 9.65960 -0.63
H 10.00161 7.68110 11.89586 0.36
H 8.24024 7.95744 12.24048 0.43
H 9.42172 8.84076 13.01828 0.16
H 8.56200 10.29248 11.17178 0.00
H 10.86394 10.60060 11.75270 -0.24
H 10.60132 11.00726 10.10002 0.44
H 11.36726 9.51287 10.42714 0.78
H 9.56136 9.34492 9.00094 0.36
C 12.69668 14.73300 19.67046 -0.44
C 13.03834 15.94718 20.61485 0.35
C 12.55942 17.27942 20.09222 -1.03
O 12.60888 15.71150 21.91108 -0.63
H 12.84218 14.94028 18.61028 -0.06
H 11.62486 14.54622 19.73692 0.41
H 13.18268 13.80612 19.97508 0.14
H 14.12544 15.91582 20.54175 0.18
H 12.97142 17.39108 19.08928 -0.14
H 12.95234 18.10920 20.67976 0.41
H 11.47098 17.29284 20.14906 0.40
H 13.32334 15.28536 22.39020 0.37
C 10.99662 16.14034 15.40268 0.45
C 10.22570 17.40206 15.77396 0.44
C 8.69974 17.26434 15.42264 -1.46
O 10.44378 17.61384 17.11380 -0.57
H 10.56014 15.21702 15.78352 -0.30
H 12.04960 16.21590 15.67406 -0.09
>>>

# 1
One molecule with the formula C26H31ClN4O3, computed with the ωB97M-V functional and the def2-TZVPD basis.

```
65
Properties=species:S:1:pos:R:3:nbo_charge:R:1
C 0.92445 0.10081 -6.39264 -0.61
C 0.52071 1.50910 -5.97802 -0.42
C -0.07709 1.62906 -4.60204 -0.02
C -0.34014 2.91438 -4.10658 -0.17
C -0.86588 3.11173 -2.85267 -0.23
C -1.14291 2.01390 -2.03795 0.16
N -1.62564 2.16902 -0.76567 -0.55
C -1.79807 1.16296 0.14841 0.63
O -2.11215 1.41954 1.30336 -0.66
C -1.54706 -0.18348 -0.35690 -0.13
C -1.65336 -1.30785 0.64177 -0.26
N -0.42661 -2.08179 0.68584 -0.45
C -0.52673 -3.50144 0.91985 -0.21
C -0.96755 -3.81177 2.35411 -0.42
C -0.02407 -3.19778 3.39110 -0.22
N -0.22445 -1.76685 3.58852 -0.46
C 0.95127 -1.16829 4.20947 -0.26
C 0.73506 0.32644 4.45032 -0.06
O -0.41319 0.57575 5.22188 -0.52
C -1.54846 0.02148 4.59658 -0.09
C -1.38792 -1.48825 4.41927 -0.25
C 0.80151 -1.50093 0.65429 0.82
O 1.82574 -2.11052 0.43199 -0.64
N 0.77175 -0.12544 0.89647 -0.69
C 1.37916 0.85786 0.14469 0.27
C 1.25711 2.19260 0.53671 -0.29
C 1.76105 3.20071 -0.25982 -0.19
C 2.38414 2.91191 -1.46254 -0.28
C 2.51093 1.58478 -1.83646 0.00
Cl 3.25751 1.20139 -3.34402 0.00
C 2.02921 0.55607 -1.05132 -0.31
C -1.14085 -0.37663 -1.63235 -0.08
C -0.89822 0.71536 -2.51655 -0.06
C -0.37076 0.54633 -3.80329 -0.20
H 1.38228 0.12705 -7.37882 0.22
H 0.06025 -0.55792 -6.43898 0.20
H 1.64851 -0.30916 -5.69291 0.21
H 1.40249 2.15474 -6.01687 0.21
H -0.19888 1.90690 -6.70098 0.21
H -0.11269 3.76877 -4.72733 0.21
H -1.05207 4.10968 -2.48378 0.21
H -1.77061 3.11034 -0.41910 0.42
H -2.45390 -1.99308 0.34602 0.22
H -1.90792 -0.88550 1.62129 0.24
H -1.23354 -3.94253 0.20837 0.19
H 0.46472 -3.92106 0.73643 0.24
H -0.96904 -4.89530 2.48274 0.22
H -1.98561 -3.45549 2.51273 0.20
H 1.00235 -3.34257 3.04542 0.21
H -0.13613 -3.73813 4.34793 0.17
H 1.80598 -1.30449 3.54302 0.22
H 1.17416 -1.65202 5.17726 0.17
H 1.57772 0.74148 5.00666 0.20
H 0.65318 0.84937 3.48592 0.15
H -2.39429 0.23966 5.25065 0.19
H -1.71412 0.50196 3.62073 0.19
H -2.28322 -1.89283 3.94420 0.20
H -1.28185 -1.95391 5.41638 0.17
H 0.10033 0.18380 1.58592 0.42
H 0.75001 2.43120 1.46010 0.22
H 1.66060 4.22931 0.05277 0.22
H 2.76315 3.69676 -2.09641 0.23
H 2.14531 -0.47058 -1.35649 0.25
H -0.93520 -1.37736 -1.98704 0.21
H -0.18051 -0.45928 -4.14161 0.21
```

## Properties
LUMO energy	0.12	eV
E_HOMO	-8.123	eV
charge	0
relative energy (zero: lowest compared OMol25 entry of this formula, charge and spin)	0.000	eV
orbital gap	0.30285	hartree

# 2
A 13-piece molecular cluster, C40H108N2O13 overall, computed with the ωB97M-V functional and the def2-TZVPD basis.

```
163
Properties=species:S:1:pos:R:3:mulliken_charge:R:1
C 9.22390 12.74482 18.34654 -0.39
C 8.38320 11.58032 17.87410 -0.53
O 9.02088 10.88684 16.79083 -0.49
H 10.20726 12.39104 18.65628 0.01
H 8.78364 13.33006 19.15386 0.62
H 9.42098 13.38318 17.48530 -0.20
H 7.45714 11.90888 17.40232 0.18
H 8.11652 10.88036 18.66596 0.50
H 9.27105 10.01878 17.11561 0.24
C 9.20846 8.41518 12.03772 -1.26
C 9.24152 9.47624 10.92658 1.08
C 10.57692 10.16750 10.79450 -1.34
O 8.98932 8.94422 9.65960 -0.63
H 10.00161 7.68110 11.89586 0.36
H 8.24024 7.95744 12.24048 0.43
H 9.42172 8.84076 13.01828 0.16
H 8.56200 10.29248 11.17178 0.00
H 10.86394 10.60060 11.75270 -0.24
H 10.60132 11.00726 10.10002 0.44
H 11.36726 9.51287 10.42714 0.78
H 9.56136 9.34492 9.00094 0.36
C 12.69668 14.73300 19.67046 -0.44
C 13.03834 15.94718 20.61485 0.35
C 12.55942 17.27942 20.09222 -1.03
O 12.60888 15.71150 21.91108 -0.63
H 12.84218 14.94028 18.61028 -0.06
H 11.62486 14.54622 19.73692 0.41
H 13.18268 13.80612 19.97508 0.14
H 14.12544 15.91582 20.54175 0.18
H 12.97142 17.39108 19.08928 -0.14
H 12.95234 18.10920 20.67976 0.41
H 11.47098 17.29284 20.14906 0.40
H 13.32334 15.28536 22.39020 0.37
C 10.99662 16.14034 15.40268 0.45
C 10.22570 17.40206 15.77396 0.44
C 8.69974 17.26434 15.42264 -1.46
O 10.44378 17.61384 17.11380 -0.57
H 10.56014 15.21702 15.78352 -0.30
H 12.04960 16.21590 15.67406 -0.09